Resist “the Spirit of the World”

Resist “the Spirit of the World”

Resist “the Spirit of the World”

“We received, not the spirit of the world, but the spirit which is from God.”​—1 COR. 2:12.

1, 2. (a) In the past, why were canaries put in British mines? (b) What danger do Christians face?

IN THE year 1911, British authorities passed a law designed to save the lives of coal miners. Each mine was required to keep two canaries. For what purpose? If a fire erupted in a mine, rescuers would carry the canaries underground with them. The tiny birds are sensitive to poisonous gases, such as carbon monoxide. If the air became contaminated, the birds would show signs of distress, even falling off their perch. This early warning was vital. Carbon monoxide is a colorless, odorless gas that kills by stopping red blood cells from delivering oxygen in the body. Unless alerted to the danger, the rescuers could faint and then die without ever realizing that they were being poisoned.

2 In a spiritual sense, Christians face a situation similar to the mine workers. How? When Jesus gave his disciples the assignment to preach the good news worldwide, he knew that he was sending them into a hazardous environment, one dominated by Satan and the spirit of the world. (Matt. 10:16; 1 John 5:19) So concerned was Jesus about his disciples that on the night before he died, he prayed to his Father: “I request you, not to take them out of the world, but to watch over them because of the wicked one.”​—John 17:15.

3, 4. What warning did Jesus give his disciples, and why should that interest us?

3 Jesus warned his followers about the danger of what could amount to a death-dealing spiritual sleep. His words have special meaning for us, living as we do during the conclusion of the system of things. He urged his disciples: “Keep awake . . . that you may succeed in escaping all these things that are destined to occur, and in standing before the Son of man.” (Luke 21:34-36) Happily, though, Jesus also promised that his Father would provide holy spirit to refresh their memories and to help them stay awake and be strong.​—John 14:26.

4 What about us today? Is that same holy spirit available to help us? If so, what must we do to receive it? What is the spirit of the world, and how does it operate? And how can we successfully resist this world’s spirit?​—Read 1 Corinthians 2:12.

Holy Spirit or the World’s Spirit?

**The page is interrupted by crystal structures**
For LiMg2Ag4, a GGA-PBE-relaxed structure gives the computed powder diffractogram in this record (Cu Kα).
Neutral-atom scattering factors, no anomalous dispersion.

Top 6 peaks for 10 to 80 degrees two-theta, in order of falling intensity:
| hkl | 2θ/deg | d_spacing | intensity |
| --- | --- | --- | --- |
| 2 0 2 | 38.25 | 2.353 | 1000 |
| 0 0 2 | 22.28 | 3.991 | 617 |
| 2 0 0 | 30.69 | 2.914 | 553 |
| 2 2 0 | 43.95 | 2.060 | 332 |
| 2 2 2 | 49.81 | 1.831 | 272 |
| 4 2 2 | 76.98 | 1.239 | 236 |

Atomic structure:
a = 5.8273 Å, b = 5.8273 Å, c = 7.9812 Å
α = 90.00°, β = 90.00°, γ = 90.00°
Space group I4/mmm (No. 139)
Inequivalent atoms, fractional coordinates:
Li 0.0000 0.0000 0.0000
Mg 0.0000 0.5000 0.0000
Ag 0.2500 0.2500 0.2500

=====

Record 1
For Mg3Tl, a DFT-relaxed cell (GGA-PBE, Alexandria) gives the simulated XRD peak list in this record (Cu Kα (λ = 1.5418 Å)).

Principal peaks in the range 2θ from 15° to 90°, by intensity:
hkl	2θ (°)	I_rel
1 0 4	33.50	100
0 0 6	16.95	67
0 1 8	39.11	66
1 0 1	31.58	46
0 1 2	31.97	44
0 1 5	34.61	36
0 0 12	34.28	31
1 0 7	37.44	29
1 1 12	67.31	26
0 0 9	25.54	26

Crystal structure
```
data_Mg3Tl
_cell_length_a 3.2853
_cell_length_b 3.2853
_cell_length_c 31.3865
_cell_angle_alpha 90.00
_cell_angle_beta 90.00
_cell_angle_gamma 120.00
_space_group_name_H-M_alt 'R -3 m'
_space_group_IT_number 166
_space_group_name_Hall '-R 3 2"'
loop_
_atom_site_label
_atom_site_fract_x
_atom_site_fract_y
_atom_site_fract_z
_atom_site_occupancy
Mg1 0.0000 0.0000 0.0000 1
Mg2 0.0000 0.0000 0.2502 1
Tl1 0.0000 0.0000 0.5000 1
```

=====

Record 2
For Mg3Tl, a DFT-relaxed cell (GGA-PBE, Alexandria) gives the simulated XRD peak list in this record (Cu Kα (λ = 1.5418 Å)).

Principal peaks in the range 2θ from 15° to 90°, by intensity:
hkl	2θ (°)	I_rel
0 0 1	17.12	100
0 1 0	18.07	89
0 1 1	18.32	86
1 -1 0	31.35	65
1 0 0	28.14	62
0 0 2	34.64	47
1 1 0	35.72	37
1 -1 1	35.89	36
-1 1 1	36.02	36
1 1 2	36.12	36

Crystal structure
```
data_Mg3Tl
_cell_length_a 3.3316
_cell_length_b 5.5253
_cell_length_c 6.0578
_cell_angle_alpha 63.74
_cell_angle_beta 74.26
_cell_angle_gamma 89.92
_space_group_name_H-M_alt 'P 1'
_space_group_IT_number 1
loop_
_space_group_symop_operation_xyz
'x,y,z'
loop_
_atom_site_label
_atom_site_fract_x
_atom_site_fract_y
_atom_site_fract_z
_atom_site_occupancy
Mg1 0.0000 0.0000 0.0000 1
Mg2 0.2499 0.5918 0.5009 1
Mg3 0.5004 0.5000 0.0010 1
Tl1 0.7512 0.0902 0.5002 1
```

=====

Record 3
For Mg2Tl3, a DFT-relaxed cell (GGA-PBE, Alexandria) gives the simulated XRD peak list in this record (Cu Kα (λ = 1.5418 Å)).

Principal peaks in the range 2θ from 15° to 90°, by intensity:
hkl	2θ (°)	I_rel
1 0 5	33.34	100
1 1 0	35.72	50
1 0 0	25.05	35
2 1 5	62.66	33
2 0 0	51.40	20
1 1 10	58.01	19
0 0 5	21.65	18
1 1 5	42.15	13
1 0 11	55.63	12
1 0 4	30.59	12

Crystal structure
```
data_Mg2Tl3
_cell_length_a 3.5552
_cell_length_b 3.5552
_cell_length_c 20.5256
_cell_angle_alpha 90.00
_cell_angle_beta 90.00
_cell_angle_gamma 90.00
**Here the page continues**

5, 6. What can holy spirit do for us, but what must we do to receive it?

5 The provision of holy spirit was not limited to the first century. It is readily available today, and God’s spirit can give us the strength to do what is right as well as energize us in his service. (Rom. 12:11; Phil. 4:13) It can also produce in us tender qualities, such as love, kindness, and goodness, which are aspects of “the fruitage of the spirit.” (Gal. 5:22, 23) However, Jehovah God does not force his holy spirit upon unwilling recipients.

6 It would be reasonable, then, for us to ask, ‘What can I do to receive holy spirit?’ Well, the Bible shows that there are a number of things we can do. An important step is quite straightforward​—ask God for it. (Read Luke 11:13.) Another useful step is to study and apply the counsel in God’s spirit-inspired Word. (2 Tim. 3:16) Of course, not everyone who simply reads the Bible receives God’s spirit. But when a sincere Christian studies God’s Word, he can absorb the sentiments and outlook reflected in the inspired Word. It is also vital that we accept that Jehovah has appointed Jesus as His representative and the one through whom God has provided his spirit. (Col. 2:6) Accordingly, we want to model our lives on Jesus’ example and teachings. (1 Pet. 2:21) The more we strive to be like Christ, the more we will receive holy spirit.

7. How does the spirit of the world influence individuals?

7 In contrast, the world’s spirit influences people to reflect Satan’s personality. (Read Ephesians 2:1-3.) The spirit of the world operates in a number of ways. As is evidenced all around us today, it encourages rebellion against God’s standards. It promotes “the desire of the flesh and the desire of the eyes and the showy display of one’s means of life.” (1 John 2:16) It produces fleshly works, such as fornication, idolatry, spiritism, jealousy, fits of anger, and drunkenness. (Gal. 5:19-21) And it fosters apostate speech that violates what is holy. (2 Tim. 2:14-18) Inevitably, the more a person allows himself to be influenced by the spirit of the world, the more like Satan he becomes.

8. All of us face what choice?

8 We cannot live in a spiritual vacuum. Each individual must choose what he will allow to govern his life​—holy spirit or the world’s spirit. Those who are now dominated by the spirit of the world can break free from its influence and allow holy spirit to guide their lives. However, the opposite is also possible. Those who for a time were led by holy spirit can become ensnared by the spirit of the world. (Phil. 3:18, 19) Let us consider how we can resist the world’s spirit.

Recognize Early Warning Signs

### Between two parts of the piece: crystal structures
- - -
1.
For LaSmB12, a cell relaxed with PBE gives the computed powder diffraction line list in this record (Cu Kα, 1.54184 Å).
Peak positions follow from Bragg's law for the DFT cell and can differ from measured ones.

```
data_LaSmB12
_cell_length_a 4.1372
_cell_length_b 4.1372
_cell_length_c 8.2733
_cell_angle_alpha 90.00
_cell_angle_beta 90.00
_cell_angle_gamma 90.00
_space_group_name_H-M_alt 'P 1'
_space_group_IT_number 1
loop_
_space_group_symop_operation_xyz
'x,y,z'
loop_
_atom_site_label
_atom_site_type_symbol
_atom_site_fract_x
_atom_site_fract_y
_atom_site_fract_z
La1 La 0.0000 0.0000 0.0000
Sm1 Sm 0.0000 0.0000 0.5000
B1 B 0.1996 0.5000 0.2514
B2 B 0.1996 0.5000 0.7486
B3 B 0.5000 0.1996 0.2514
B4 B 0.5000 0.1996 0.7486
B5 B 0.5000 0.5000 0.1004
B6 B 0.5000 0.5000 0.4011
B7 B 0.5000 0.5000 0.5989
B8 B 0.5000 0.5000 0.8996
B9 B 0.5000 0.8004 0.2514
B10 B 0.5000 0.8004 0.7486
B11 B 0.8004 0.5000 0.2514
B12 B 0.8004 0.5000 0.7486
```

The 8 most intense peaks (5 to 70 degrees two-theta), low angle first:
21.48°, intensity 65
30.56°, intensity 100
37.66°, intensity 42
43.76°, intensity 21
49.25°, intensity 50
54.32°, intensity 27
63.61°, intensity 10
67.98°, intensity 28

2.
For LaSmB12, a cell relaxed with PBE gives the computed powder diffraction line list in this record (Cu Kα, 1.54184 Å).
Peak positions follow from Bragg's law for the DFT cell and can differ from measured ones.

```
data_LaSmB12
_cell_length_a 5.8520
_cell_length_b 5.8520
_cell_length_c 5.8520
_cell_angle_alpha 60.00
_cell_angle_beta 60.00
_cell_angle_gamma 60.00
_space_group_name_H-M_alt 'P 1'
_space_group_IT_number 1
loop_
_space_group_symop_operation_xyz
'x,y,z'
loop_
_atom_site_label
_atom_site_type_symbol
_atom_site_fract_x
_atom_site_fract_y
_atom_site_fract_z
La1 La 0.0000 0.0000 0.0000
Sm1 Sm 0.5000 0.5000 0.5000
B1 B 0.0998 0.0998 0.4002
B2 B 0.0998 0.4002 0.0998
B3 B 0.0998 0.4002 0.4002
B4 B 0.4002 0.0998 0.0998
B5 B 0.4002 0.0998 0.4002
B6 B 0.4002 0.4002 0.0998
B7 B 0.5998 0.5998 0.9002
B8 B 0.5998 0.9002 0.5998
B9 B 0.5998 0.9002 0.9002
B10 B 0.9002 0.5998 0.5998
B11 B 0.9002 0.5998 0.9002
B12 B 0.9002 0.9002 0.5998
```

The 8 most intense peaks (5 to 70 degrees two-theta), low angle first:
21.47°, intensity 65
30.55°, intensity 100
37.65°, intensity 42
43.75°, intensity 21
49.24°, intensity 50
54.30°, intensity 27
63.60°, intensity 10
67.96°, intensity 28

3.
For LaSnB, a cell relaxed with PBE gives the computed powder diffraction line list in this record (Cu Kα, 1.54184 Å).
Peak positions follow from Bragg's law for the DFT cell and can differ from measured ones.

```
data_LaSnB
_cell_length_a 4.1607
_cell_length_b 4.2155
_cell_length_c 8.1284
_cell_angle_alpha 89.43
_cell_angle_beta 79.40
_cell_angle_gamma 89.09
_space_group_name_H-M_alt 'P 1'
_space_group_IT_number 1
loop_
_space_group_symop_operation_xyz
'x,y,z'
loop_
_atom_site_label
_atom_site_type_symbol
_atom_site_fract_x
_atom_site_fract_y
_atom_site_fract_z
La1 La 0.0000 0.0000 0.0000
- - -

9-11. What are some warning signs that we might be succumbing to the spirit of the world?

9 The British coal miners mentioned earlier used canaries to provide an early warning of the presence of poisonous gas. If a miner saw a bird fall from its perch, he knew he needed to act fast to survive. In a spiritual sense, what are some early warning signs signaling that we are being influenced by the spirit of the world?

10 When we first learned the truths contained in God’s Word and then dedicated our lives to Jehovah, we probably read the Bible eagerly. We likely prayed fervently and often. And we delighted to attend congregation meetings, viewing each one as a source of spiritual refreshment, like an oasis for a thirsty man. That course helped us to break free of and keep free of the world’s spirit.

11 Do we still try to read the Bible each day? (Ps. 1:2) Are our prayers frequent and heartfelt? Do we love congregation meetings, attending all of them each week? (Ps. 84:10) Or have we lost some of these good habits? Of course, we may have many demands upon our time and energy, and it can be challenging to maintain a healthy spiritual routine. But if some of our good habits have suffered over time, could it be that we are succumbing to the spirit of the world? Will we now make a strong effort to revive the good habits we once had?

“Never Become Weighed Down”

12. Jesus told his disciples to “pay attention” to whom, and why?

12 What else can we do to resist the spirit of the world? When Jesus admonished his disciples to “keep awake,” he had just warned them of some specific dangers. “Pay attention to yourselves,” he said, “that your hearts never become weighed down with overeating and heavy drinking and anxieties of life, and suddenly that day be instantly upon you as a snare.”​—Luke 21:34, 35.

13, 14. It would be fitting to ask ourselves what sort of questions about eating and drinking?

13 Think about that warning. Did Jesus condemn the enjoyment of food and drink? No! He was aware of Solomon’s words: “I have come to know that there is nothing better for [the sons of mankind] than to rejoice and to do good during one’s life; and also that every man should eat and indeed drink and see good for all his hard work. It is the gift of God.” (Eccl. 3:12, 13) Yet, Jesus knew that the spirit of the world promotes a lack of self-control in those areas.

14 How can we be sure that the world’s spirit has not poisoned our senses as to the dangers of overeating or heavy drinking? We might ask ourselves: ‘How do I react upon reading counsel in the Bible or in our publications about gluttony? Am I inclined to dismiss this admonition as irrelevant or extreme, perhaps offering excuses or justification for my ways? * What is my view of the advice about alcohol, using it​—if at all—​in moderation and definitely avoiding “drunken bouts”? Do I minimize such advice, feeling that it for some reason does not apply to me? If others express concern about my drinking, do I become defensive or angry? Do I encourage others to downplay such Bible counsel?’ Yes, a person’s attitude is a gauge as to whether he is succumbing to the world’s spirit.​—Compare Romans 13:11-14.

Avoid Being Choked by Anxiety

15. Jesus warned against what human tendency?

15 Another vital step in resisting the spirit of the world involves managing anxiety. Jesus knew that as imperfect creatures, we have a tendency to become anxious about mundane matters. He lovingly said to his disciples: “Stop being anxious.” (Matt. 6:25) It is understandable that we are concerned about important issues, such as pleasing God, caring for Christian responsibilities, and providing the necessities of life for our family. (1 Cor. 7:32-34) What, then, can we learn from Jesus’ warning?

16. What effect does the world’s spirit have on many people?

16 The world’s spirit, with its emphasis on the showy display of one’s means of life, infects many individuals with an unhealthy anxiety. They would have us believe that money equals security and that a person’s worth is measured, not by his spiritual qualities, but by the quantity and quality of his possessions. Those duped by this propaganda will slave to gain riches and are constantly anxious about acquiring the newest, the biggest, the most advanced products. (Prov. 18:11) Such a distorted view of material things breeds anxieties that choke an individual’s spiritual development.​—Read Matthew 13:18, 22.

17. How can we avoid being choked by anxiety?

17 We can avoid being choked by anxiety if we obey Jesus’ command: “Keep on, then, seeking first the kingdom and [God’s] righteousness.” Jesus assures us that if we do this, the things we really need will be added to us. (Matt. 6:33) How can we show that we believe this promise? One way is to seek first God’s righteousness​—abiding by God’s standard of what is right as regards financial matters. For instance, we refuse to falsify our tax returns or to tell even “little” lies in our business dealings. We do all within our power to honor our financial commitments, letting our “Yes mean Yes” when it comes to paying off debts. (Matt. 5:37; Ps. 37:21) Such honesty may not make a person rich, but it brings God’s approval, produces a clean conscience, and greatly reduces anxiety.

18. Jesus set what fine example for us, and how do we benefit by imitating him?

18 Seeking first the Kingdom involves having our priorities in order. Consider Jesus’ example. At times, he wore a good-quality garment. (John 19:23) He enjoyed food and wine in the company of good friends. (Matt. 11:18, 19) But possessions and entertainment were like seasoning or condiments in his life, not the meat of it. Jesus’ food was to do Jehovah’s will. (John 4:34-36) Life is so rewarding when we copy Jesus’ example! We have the joy of helping downtrodden people receive comfort from the Scriptures. We gain the love and support of the congregation. And we make Jehovah’s heart rejoice. When our priorities are in order, possessions and pleasure are not our masters. Rather, they are servants, or tools, that help us worship Jehovah. And the more active we are in work that supports God’s Kingdom, the less likely we are to be overcome by the spirit of the world.

Keep On ‘Minding the Spirit’

19-21. How can we keep ‘minding the spirit,’ and why should we do so?

19 Thoughts precede actions. What many refer to as thoughtless actions are often actions prompted by fleshly thinking. Thus, the apostle Paul reminds us of the need to guard our thinking. He wrote: “Those who are in accord with the flesh set their minds on the things of the flesh, but those in accord with the spirit on the things of the spirit.”​—Rom. 8:5.

20 How can we avoid having our thinking​—and thus our actions—​dominated by the spirit of the world? We must put a filter on our mind, striving to block out the world’s propaganda to the extent possible. For example, when choosing entertainment, we refuse to let our minds be sullied by programs that glorify immorality or violence. We realize that God’s holy, or clean, spirit will not reside in a dirty mind. (Ps. 11:5; 2 Cor. 6:15-18) In addition, we invite God’s spirit into our minds through regular Bible reading, prayer, meditation, and meeting attendance. And we work along with that spirit as we regularly share in the Christian preaching work.

21 Certainly, we must resist the spirit of the world and the fleshly desires it fosters. But doing so is worth our earnest effort because, as Paul states, “the minding of the flesh means death, but the minding of the spirit means life and peace.”​—Rom. 8:6.


^ par. 14 Gluttony is a mental attitude, one marked by greedy or excessive indulgence. Thus, it is determined, not by someone’s size, but by his attitude toward food. A person may be of normal size, or even be thin, and yet be a glutton. On the other hand, in some cases being overweight is the result of an ailment, or hereditary factors may contribute to obesity. A key issue is whether a person, whatever his or her weight, is excessively greedy as regards eating.​—See “Questions From Readers” in the November 1, 2004, issue of The Watchtower.

Do You Recall?

• To receive holy spirit, what should we do?

• What are some ways that the world’s spirit might affect us?

• How can we resist the spirit of the world?

[Study Questions]

[Picture on page 21]

Before going to work or school, pray for holy spirit

## Attached: crystal structures
<<<
Mg3Rh2: calculated powder diffractogram (Cu Kα), based on a cell relaxed with GGA-PBE.

Structural model:
```
data_Mg3Rh2
_chemical_formula_sum 'Mg6 Rh4'
_space_group_name_H-M_alt 'C 1 2/m 1'
_space_group_IT_number 12
_space_group_name_Hall '-C 2y'
_cell_length_a 8.0350
_cell_length_b 4.3079
_cell_length_c 5.6714
_cell_angle_alpha 90.00
_cell_angle_beta 123.01
_cell_angle_gamma 90.00
loop_
_atom_site_label
_atom_site_type_symbol
_atom_site_fract_x
_atom_site_fract_y
_atom_site_fract_z
Mg1 Mg 0.0000 0.0000 0.0000
Mg2 Mg 0.2073 0.0000 0.6440
Rh1 Rh 0.0779 0.5000 0.7774
```

Principal peaks in the range 2θ from 15° to 90°, in order of rising 2θ:
2θ (°)	Rel. int.
22.55	38
24.53	93
37.83	23
38.70	100
39.73	93
40.37	40
41.94	42
53.62	19
53.78	19
59.62	25

=====

NiPb2N6O12: simulated powder diffraction line list (Cu Ka), based on DFT lattice parameters and positions (GGA+U).
Intensities are scaled so that the largest is 100.

Atomic structure:
```
data_NiPb2N6O12
_chemical_formula_sum 'Ni4 Pb8 N24 O48'
_space_group_name_H-M_alt 'F m -3 m'
_space_group_IT_number 225
_space_group_name_Hall '-F 4 2 3'
_cell_length_a 10.007
_cell_length_b 10.007
_cell_length_c 10.007
_cell_angle_alpha 90.00
_cell_angle_beta 90.00
_cell_angle_gamma 90.00
loop_
_atom_site_label
_atom_site_type_symbol
_atom_site_fract_x
_atom_site_fract_y
_atom_site_fract_z
Ni1 Ni 0.000 0.000 0.000
Pb1 Pb 0.250 0.250 0.250
N1 N 0.000 0.000 0.206
O1 O 0.000 0.194 0.194
>>>

[Pictures on page 23]

We must keep our minds clean, maintain good business practices, and be moderate in habits